Excerpt:
-- begin --
ORCA calculation (ωB97M-V with the def2-TZVPD basis set) on a structure of composition C23H43F3N2NbO8S3.

Values from the calculation:
HOMO energy = -5.396 eV
Electronic energy = -86100.2195 eV
Charge = -1

```
83
Properties=species:S:1:pos:R:3:mulliken_charge:R:1
O 0.01572 -7.42649 0.15486 -0.53
C 0.16564 -6.33055 -0.59404 0.07
O -0.64970 -5.13955 -0.26749 -0.14
C -0.81093 -4.43960 -1.55027 -0.44
C 0.37683 -3.29580 -1.83261 -0.60
Nb -0.27110 -1.38283 -0.78935 -0.70
C 0.60617 -0.00314 -2.36108 -0.13
C 1.52176 -0.71114 -3.51738 -0.39
C 1.91659 0.50809 -4.59299 -0.33
C 3.53091 0.71314 -4.78157 -0.71
C 4.07648 2.19727 -4.31181 -0.61
C 3.49619 2.64239 -2.84146 0.00
C 4.24443 4.00322 -2.25022 -0.56
S 6.05639 3.54051 -1.93411 -0.14
C 6.10681 2.41161 -0.43561 0.34
N 7.22763 1.61626 0.19901 -0.32
N 6.60878 1.00236 1.31097 -0.28
C 5.15182 1.40040 1.44300 -0.02
O 4.82778 2.29030 0.30473 -0.15
C -1.21481 0.42701 0.32208 -0.96
C -0.23739 1.74267 0.35222 0.43
O -0.29436 2.26586 1.75550 -0.62
C -0.70414 2.97960 -0.61694 0.76
F 0.02132 3.07772 -1.90383 -0.23
F -2.15276 3.02791 -0.92204 -0.28
F -0.39390 4.25081 0.13561 -0.30
H 0.95251 -6.29465 -1.45902 0.35
H -1.82880 -3.82774 -1.62970 0.30
H -0.81530 -5.16563 -2.49048 0.37
H 1.33511 -3.70015 -1.27664 0.20
H 0.47742 -3.24185 -2.99606 0.22
H 1.26392 -1.27455 0.21672 -0.04
H -0.96711 -2.41958 0.54757 0.10
H -1.81612 -1.44470 -1.76047 0.00
H -0.28563 0.55238 -2.90163 0.14
H 1.28400 0.84839 -1.87287 -0.11
H 2.48165 -1.26083 -3.13479 0.27
H 0.78752 -1.41627 -4.14130 0.19
H 1.48794 0.20788 -5.66570 0.38
H 1.34579 1.51734 -4.31429 0.16
H 3.77103 0.62852 -5.94542 0.24
H 4.07148 -0.18822 -4.26849 0.34
H 5.25207 2.15710 -4.33849 0.29
H 3.70464 2.98629 -5.11921 0.26
H 2.36822 2.92437 -2.98746 0.03
H 3.54447 1.76108 -2.07204 0.18
H 3.67316 4.27964 -1.24680 0.30
H 4.22617 4.90245 -3.03230 0.38
H 4.33869 1.09318 2.23438 0.34
H -2.30505 0.62355 -0.05536 0.20
H -1.32233 0.06770 1.45453 0.42
H 0.90577 1.45141 0.18681 0.04
H -1.25120 2.53374 1.94716 0.30
C -1.79593 7.11813 2.48346 -0.75
C -1.41031 7.10177 3.96185 -0.63
C -2.52328 6.37834 4.71816 -0.66
S -3.25465 5.23442 3.55704 1.17
O -4.61870 5.64681 3.30123 -0.68
O -2.91340 3.87977 3.94294 -0.66
C -2.25186 5.70302 2.16046 -0.39
H -0.95956 7.42557 1.84896 0.33
H -2.61993 7.82388 2.32412 0.34
H -0.46592 6.55812 4.08641 0.30
H -1.26053 8.11323 4.35222 0.33
H -2.13289 5.82515 5.57612 0.34
H -3.30170 7.07299 5.04556 0.35
H -2.83747 5.63949 1.24176 0.44
H -1.40141 5.01629 2.11374 0.14
C -2.24516 -7.28045 2.54854 -0.66
C -3.34865 -8.20285 2.03270 -0.63
C -4.68766 -7.57567 2.41713 -0.65
S -4.40728 -5.81345 2.50445 1.14
O -4.57992 -5.38702 3.87722 -0.68
O -5.08775 -5.16701 1.40012 -0.68
C -2.66248 -5.87351 2.14713 -0.41
H -1.26825 -7.54389 2.13276 0.31
H -2.18061 -7.35598 3.64059 0.34
H -3.27786 -8.28114 0.94101 0.29
H -3.25460 -9.21400 2.44090 0.35
H -5.45856 -7.78428 1.67101 0.35
H -5.02057 -7.91508 3.40184 0.33
H -2.13971 -5.09472 2.70496 0.46
H -2.53557 -5.71683 1.07177 0.14
```


1.
Formula: C32H71ClF5N2O13
Source: the OMol25 dataset
Level of theory: ωB97M-V/def2-TZVPD

Structure (ORCA input):
```
! RIJCOSX wB97M-V def2-TZVPD def2/J DEFGRID3
* xyz 1 1
N -3.810 0.173 1.755
C -2.749 0.448 2.773
C -2.259 1.966 2.824
O -3.293 2.743 3.496
C -2.060 2.671 1.413
C -0.988 2.010 0.445
Cl -1.957 1.201 -0.921
N -0.135 0.943 1.047
C 1.128 0.657 0.243
C 2.047 1.982 0.184
C 3.148 1.862 1.342
C 4.512 1.183 0.871
C 4.397 -0.421 0.762
C 3.974 -0.929 -0.686
F 2.834 -1.770 -0.570
F 3.754 0.109 -1.616
C 5.113 -1.861 -1.346
F 4.519 -2.432 -2.496
F 5.414 -2.923 -0.503
F 6.223 -1.104 -1.703
O 1.188 3.139 0.465
C -0.024 3.063 -0.302
O -0.635 4.333 -0.490
H -4.352 -0.615 2.155
H -3.313 -0.278 0.964
H -3.213 0.225 3.800
H -1.869 -0.294 2.698
H -1.328 2.085 3.478
H -3.629 2.259 4.273
H -1.866 3.781 1.628
H -3.081 2.657 0.893
H 0.196 1.140 2.006
H -0.681 0.060 0.984
H 1.688 -0.125 0.859
H 0.903 0.244 -0.786
H 2.505 2.159 -0.843
H 3.330 2.924 1.733
H 2.692 1.281 2.205
H 4.915 1.665 -0.081
-- stop --

Work order:
Your job: print the part of the material further above that starts with the line with "the calculation:" and stops after the one with "4.397 -0.421".

Here it is:
Values from the calculation:
HOMO energy = -5.396 eV
Electronic energy = -86100.2195 eV
Charge = -1

```
83
Properties=species:S:1:pos:R:3:mulliken_charge:R:1
O 0.01572 -7.42649 0.15486 -0.53
C 0.16564 -6.33055 -0.59404 0.07
O -0.64970 -5.13955 -0.26749 -0.14
C -0.81093 -4.43960 -1.55027 -0.44
C 0.37683 -3.29580 -1.83261 -0.60
Nb -0.27110 -1.38283 -0.78935 -0.70
C 0.60617 -0.00314 -2.36108 -0.13
C 1.52176 -0.71114 -3.51738 -0.39
C 1.91659 0.50809 -4.59299 -0.33
C 3.53091 0.71314 -4.78157 -0.71
C 4.07648 2.19727 -4.31181 -0.61
C 3.49619 2.64239 -2.84146 0.00
C 4.24443 4.00322 -2.25022 -0.56
S 6.05639 3.54051 -1.93411 -0.14
C 6.10681 2.41161 -0.43561 0.34
N 7.22763 1.61626 0.19901 -0.32
N 6.60878 1.00236 1.31097 -0.28
C 5.15182 1.40040 1.44300 -0.02
O 4.82778 2.29030 0.30473 -0.15
C -1.21481 0.42701 0.32208 -0.96
C -0.23739 1.74267 0.35222 0.43
O -0.29436 2.26586 1.75550 -0.62
C -0.70414 2.97960 -0.61694 0.76
F 0.02132 3.07772 -1.90383 -0.23
F -2.15276 3.02791 -0.92204 -0.28
F -0.39390 4.25081 0.13561 -0.30
H 0.95251 -6.29465 -1.45902 0.35
H -1.82880 -3.82774 -1.62970 0.30
H -0.81530 -5.16563 -2.49048 0.37
H 1.33511 -3.70015 -1.27664 0.20
H 0.47742 -3.24185 -2.99606 0.22
H 1.26392 -1.27455 0.21672 -0.04
H -0.96711 -2.41958 0.54757 0.10
H -1.81612 -1.44470 -1.76047 0.00
H -0.28563 0.55238 -2.90163 0.14
H 1.28400 0.84839 -1.87287 -0.11
H 2.48165 -1.26083 -3.13479 0.27
H 0.78752 -1.41627 -4.14130 0.19
H 1.48794 0.20788 -5.66570 0.38
H 1.34579 1.51734 -4.31429 0.16
H 3.77103 0.62852 -5.94542 0.24
H 4.07148 -0.18822 -4.26849 0.34
H 5.25207 2.15710 -4.33849 0.29
H 3.70464 2.98629 -5.11921 0.26
H 2.36822 2.92437 -2.98746 0.03
H 3.54447 1.76108 -2.07204 0.18
H 3.67316 4.27964 -1.24680 0.30
H 4.22617 4.90245 -3.03230 0.38
H 4.33869 1.09318 2.23438 0.34
H -2.30505 0.62355 -0.05536 0.20
H -1.32233 0.06770 1.45453 0.42
H 0.90577 1.45141 0.18681 0.04
H -1.25120 2.53374 1.94716 0.30
C -1.79593 7.11813 2.48346 -0.75
C -1.41031 7.10177 3.96185 -0.63
C -2.52328 6.37834 4.71816 -0.66
S -3.25465 5.23442 3.55704 1.17
O -4.61870 5.64681 3.30123 -0.68
O -2.91340 3.87977 3.94294 -0.66
C -2.25186 5.70302 2.16046 -0.39
H -0.95956 7.42557 1.84896 0.33
H -2.61993 7.82388 2.32412 0.34
H -0.46592 6.55812 4.08641 0.30
H -1.26053 8.11323 4.35222 0.33
H -2.13289 5.82515 5.57612 0.34
H -3.30170 7.07299 5.04556 0.35
H -2.83747 5.63949 1.24176 0.44
H -1.40141 5.01629 2.11374 0.14
C -2.24516 -7.28045 2.54854 -0.66
C -3.34865 -8.20285 2.03270 -0.63
C -4.68766 -7.57567 2.41713 -0.65
S -4.40728 -5.81345 2.50445 1.14
O -4.57992 -5.38702 3.87722 -0.68
O -5.08775 -5.16701 1.40012 -0.68
C -2.66248 -5.87351 2.14713 -0.41
H -1.26825 -7.54389 2.13276 0.31
H -2.18061 -7.35598 3.64059 0.34
H -3.27786 -8.28114 0.94101 0.29
H -3.25460 -9.21400 2.44090 0.35
H -5.45856 -7.78428 1.67101 0.35
H -5.02057 -7.91508 3.40184 0.33
H -2.13971 -5.09472 2.70496 0.46
H -2.53557 -5.71683 1.07177 0.14
```


1.
Formula: C32H71ClF5N2O13
Source: the OMol25 dataset
Level of theory: ωB97M-V/def2-TZVPD

Structure (ORCA input):
```
! RIJCOSX wB97M-V def2-TZVPD def2/J DEFGRID3
* xyz 1 1
N -3.810 0.173 1.755
C -2.749 0.448 2.773
C -2.259 1.966 2.824
O -3.293 2.743 3.496
C -2.060 2.671 1.413
C -0.988 2.010 0.445
Cl -1.957 1.201 -0.921
N -0.135 0.943 1.047
C 1.128 0.657 0.243
C 2.047 1.982 0.184
C 3.148 1.862 1.342
C 4.512 1.183 0.871
C 4.397 -0.421 0.762